**Request**
Give back only the lines further below with the word "Te" in them.

**Input**
<<<
2 unconnected molecules or ions with the total composition C7H12. Source: the Open Molecules 2025 dataset; level of theory: ωB97M-V/def2-TZVPD.

**SMILES string**: CC1=CC2(CC2)C1.[H][H]
**Energy relative to the best compared isomer or geometry (same formula, charge and spin)**: 67.0 kcal per mole
**Electronic energy**: -273.80177 Ha
**HOMO level**: -8.7 eV
**Orbital gap**: 0.36052 Eh

Geometry as ORCA input:
```
! RIJCOSX wB97M-V def2-TZVPD def2/J DEFGRID3
* xyz 0 1
C 0.41 -2.51 0.48
C 0.21 -1.04 0.36
C -1.00 -0.27 -0.16
C -0.20 0.99 0.24
C -0.10 2.28 -0.52
C -0.73 2.25 0.85
C 0.88 0.07 0.69
H 0.21 -3.04 -0.46
H -0.30 -2.90 1.23
H 1.42 -2.76 0.81
H 1.11 -1.57 -2.55
H -1.23 -0.36 -1.23
H -1.91 -0.44 0.43
H -0.74 2.42 -1.38
H 0.89 2.74 -0.62
H -1.80 2.37 0.92
H -0.18 2.69 1.68
H 1.85 0.24 1.16
H 1.22 -1.16 -1.95
*
```


The following is a quantum chemistry calculation of C46H55Ge2N2O2PReS2Te as an isolated structure in a non-equilibrium geometry, from the OMol25 dataset.

Results
**Highest occupied orbital energy (spin up / spin down)**: -8.720 / -9.726 eV
**Energy above the lowest of the compared OMol25 structures with the same formula, charge and spin**: 256.8 kJ/mol
**Electronic energy**: -7683.1987 Eh
**Strongest force on any atom**: 3.9 eV Å⁻¹
**LUMO (spin up / spin down)**: -3.84 / -5.07 eV
**Kohn-Sham gap (spin up / spin down)**: 4.883 / 4.655 eV
**Spin multiplicity**: 3
**<S²>**: 2.131
**Charge**: +1

```
112
Properties=species:S:1:pos:R:3:lowdin_charge:R:1
Re -0.773 0.433 0.335 0.875
O -2.254 -2.211 -1.259 -0.568
S -1.994 -1.646 0.055 0.617
N -0.318 -1.425 0.134 -0.644
C -0.367 -0.254 4.581 0.002
C -0.455 0.529 3.354 -0.315
O -1.178 0.022 2.377 -0.213
C 0.103 1.862 3.347 -0.079
C 0.012 2.649 2.040 -0.243
C 0.312 4.103 2.170 0.022
C 0.948 4.616 3.271 -0.051
C 1.251 3.833 4.405 -0.013
C 0.774 2.506 4.424 0.008
H -1.071 -1.087 4.578 0.109
H -0.415 0.512 5.379 0.099
H 0.627 -0.701 4.624 0.091
H -0.986 2.583 1.560 0.074
H 0.044 4.684 1.304 0.106
H 1.082 5.696 3.255 0.120
H 1.726 4.321 5.282 0.132
H 0.986 1.954 5.348 0.118
C 3.948 -4.350 -1.323 -0.271
Ge 2.394 -3.438 -1.982 0.742
C 1.557 -4.526 -3.386 -0.246
C 2.801 -1.735 -3.010 -0.221
Ge 0.838 -2.976 -0.117 0.910
C 1.699 -3.057 1.724 -0.274
C 0.962 -2.932 2.879 -0.170
C 1.412 -3.123 4.169 -0.117
C 2.746 -3.362 4.371 -0.068
C 3.526 -3.588 3.227 -0.082
C 3.036 -3.455 1.949 -0.114
C -0.439 -4.452 -0.096 -0.352
C -0.475 -5.281 0.999 -0.109
C -1.219 -6.512 1.021 -0.042
C -1.906 -6.847 -0.150 -0.102
C -1.965 -5.997 -1.221 -0.074
C -1.153 -4.836 -1.266 -0.114
H 4.609 -4.543 -2.203 0.047
H 3.750 -5.302 -0.865 0.020
H 4.583 -3.804 -0.592 0.016
H 2.034 -4.548 -4.363 0.025
H 0.549 -4.056 -3.388 0.001
H 1.464 -5.588 -3.050 0.039
H 2.111 -0.940 -2.731 -0.071
H 2.862 -2.040 -4.052 0.016
H 3.803 -1.452 -2.707 -0.009
H -0.117 -2.697 2.837 0.106
H 0.723 -3.026 4.998 0.107
H 3.165 -3.345 5.398 0.121
H 4.570 -3.787 3.362 0.102
H 3.633 -3.759 1.106 0.056
H -0.149 -4.890 1.921 0.060
H -0.966 -7.233 1.814 0.110
H -2.402 -7.783 -0.274 0.097
H -2.594 -6.219 -2.101 0.117
H -1.095 -4.258 -2.174 0.072
Te -0.119 0.918 -2.142 1.071
C -1.113 0.979 -4.074 -0.880
C -1.050 -0.033 -5.013 -0.263
C -1.476 0.362 -6.294 -0.187
C -2.108 1.578 -6.242 -0.417
S -1.872 2.444 -4.754 0.892
H -0.518 -1.012 -4.779 0.121
H -1.380 -0.261 -7.178 0.110
H -2.651 2.095 -6.990 0.049
N 0.677 1.839 0.854 -0.145
C 1.674 2.354 0.104 -0.335
C 1.511 3.646 -0.602 -0.208
C 0.259 4.020 -1.093 -0.159
C 0.144 5.017 -2.038 -0.084
C 1.226 5.879 -2.289 -0.053
C 2.438 5.689 -1.553 -0.069
C 2.631 4.510 -0.846 -0.028
C 2.928 1.680 0.202 -0.158
C 3.263 0.712 1.201 -0.012
C 4.326 -0.199 1.060 -0.078
C 5.209 -0.136 0.000 -0.076
C 4.874 0.743 -1.019 -0.085
C 3.855 1.665 -0.898 -0.025
H -0.696 3.587 -0.716 0.061
H -0.644 4.980 -2.724 0.081
H 1.211 6.564 -3.192 0.127
H 3.200 6.487 -1.529 0.113
H 3.647 4.271 -0.547 0.113
H 2.817 0.836 2.198 0.107
H 4.455 -0.989 1.798 0.094
H 6.004 -0.803 -0.017 0.088
H 5.446 0.713 -1.966 0.122
>>>

**Result**
Te -0.119 0.918 -2.142 1.071